- - -
Entry 1:
{
  "formula": "C3H12O3",
  "method": "the ωB97M-V functional and the def2-TZVPD basis",
  "symbols": ["C", "C", "C", "O", "H", "H", "H", "H", "H", "H", "H", "H", "O", "H", "H", "O", "H", "H"],
  "xyz": [[1.54427, -0.11996, -1.31239], [1.39790, 0.66333, 0.00522], [-0.02144, 0.93904, 0.44628], [-0.87073, 1.40096, -0.68840], [0.61113, -0.10662, -1.87047], [1.97849, -1.10805, -1.24644], [2.19080, 0.46611, -1.97190], [1.83233, -0.03759, 0.72968], [1.93275, 1.60744, 0.09511], [-0.60798, 0.07186, 0.75148], [-0.09434, 1.69626, 1.22016], [-0.55806, 2.29581, -0.72873], [0.48737, -2.73006, 1.49605], [-0.29969, -2.62591, 2.04910], [0.27497, -2.00350, 0.87730], [-3.56874, -0.03645, 0.33329], [-2.91186, 0.52178, -0.16068], [-3.31717, -0.89446, -0.02464]],
  "smiles": "CCCO.O.O",
  "e_lumo_ha": 0.0187
}

=====

Entry 2:
{
  "formula": "C3H6O3",
  "method": "the ωB97M-V functional and the def2-TZVPD basis",
  "symbols": ["C", "C", "O", "C", "O", "H", "H", "H", "H", "O", "H", "H"],
  "xyz": [[0.64854, 0.21319, -1.29665], [-0.11019, 0.71552, -0.09838], [-1.20156, 1.23330, -0.13756], [0.60933, 0.55921, 1.25667], [0.06332, 0.82052, 2.29584], [-0.00243, 0.20237, -2.17269], [1.03533, -0.79273, -1.10077], [1.50273, 0.87251, -1.49266], [1.66040, 0.20180, 1.21253], [-1.09407, -1.71976, 0.50891], [-1.57886, -1.92336, -0.30321], [-1.66136, -1.07185, 0.94988]],
  "smiles": "CC(=O)C=O.O",
  "e_lumo_ha": -0.0117
}

=====

Entry 3:
{
  "formula": "C5H9IS4",
  "method": "the ωB97M-V functional and the def2-TZVPD basis",
  "symbols": ["C", "C", "C", "C", "C", "S", "S", "S", "S", "I", "H", "H", "H", "H", "H", "H", "H", "H", "H"],
  "xyz": [[0.28374, 1.77999, 0.51810], [0.75732, 0.65198, 0.00994], [2.20611, 0.51668, -0.36535], [-0.09499, -0.56103, -0.26927], [-1.43507, -0.63747, 0.40780], [-0.35174, -0.70438, -2.10344], [0.83489, -2.10556, 0.19554], [-1.36223, -0.29207, 2.15597], [-2.83794, 0.83816, -0.44593], [-2.49177, -2.47594, -0.01841], [-0.74566, 1.93374, 0.78084], [0.94198, 2.61430, 0.68529], [2.67341, 1.49495, -0.39145], [2.31816, 0.05005, -1.34300], [2.73718, -0.10045, 0.35790], [0.83631, -1.24390, -2.35887], [0.87778, -1.85388, 1.50250], [-2.65253, -0.52051, 2.38636], [-2.49495, 0.61531, -1.70453]],
  "e_lumo_ha": -0.0126
}

=====

Entry 4:
{
  "formula": "C5H6O2",
  "method": "the ωB97M-V functional and the def2-TZVPD basis",
  "symbols": ["C", "O", "C", "C", "O", "C", "C", "H", "H", "H", "H", "H", "H"],
  "xyz": [[0.62921, 0.53954, 1.29067], [0.69292, -0.83612, 1.18030], [0.21652, -1.19520, -0.07970], [-1.08243, -0.63113, -0.60699], [-1.45649, 0.54877, 0.09056], [-0.11059, 1.04120, -0.09259], [0.23788, -0.07716, -1.07359], [1.54745, 1.07099, 1.09772], [0.01678, 0.85831, 2.11209], [0.50827, -2.19866, -0.36521], [-1.86477, -1.18596, -1.11666], [-0.08250, 2.09637, -0.40973], [0.74774, -0.03096, -2.02686]],
- - -

Retype all of the rows further above without additions, please.

Entry 1:
{
  "formula": "C3H12O3",
  "method": "the ωB97M-V functional and the def2-TZVPD basis",
  "symbols": ["C", "C", "C", "O", "H", "H", "H", "H", "H", "H", "H", "H", "O", "H", "H", "O", "H", "H"],
  "xyz": [[1.54427, -0.11996, -1.31239], [1.39790, 0.66333, 0.00522], [-0.02144, 0.93904, 0.44628], [-0.87073, 1.40096, -0.68840], [0.61113, -0.10662, -1.87047], [1.97849, -1.10805, -1.24644], [2.19080, 0.46611, -1.97190], [1.83233, -0.03759, 0.72968], [1.93275, 1.60744, 0.09511], [-0.60798, 0.07186, 0.75148], [-0.09434, 1.69626, 1.22016], [-0.55806, 2.29581, -0.72873], [0.48737, -2.73006, 1.49605], [-0.29969, -2.62591, 2.04910], [0.27497, -2.00350, 0.87730], [-3.56874, -0.03645, 0.33329], [-2.91186, 0.52178, -0.16068], [-3.31717, -0.89446, -0.02464]],
  "smiles": "CCCO.O.O",
  "e_lumo_ha": 0.0187
}

=====

Entry 2:
{
  "formula": "C3H6O3",
  "method": "the ωB97M-V functional and the def2-TZVPD basis",
  "symbols": ["C", "C", "O", "C", "O", "H", "H", "H", "H", "O", "H", "H"],
  "xyz": [[0.64854, 0.21319, -1.29665], [-0.11019, 0.71552, -0.09838], [-1.20156, 1.23330, -0.13756], [0.60933, 0.55921, 1.25667], [0.06332, 0.82052, 2.29584], [-0.00243, 0.20237, -2.17269], [1.03533, -0.79273, -1.10077], [1.50273, 0.87251, -1.49266], [1.66040, 0.20180, 1.21253], [-1.09407, -1.71976, 0.50891], [-1.57886, -1.92336, -0.30321], [-1.66136, -1.07185, 0.94988]],
  "smiles": "CC(=O)C=O.O",
  "e_lumo_ha": -0.0117
}

=====

Entry 3:
{
  "formula": "C5H9IS4",
  "method": "the ωB97M-V functional and the def2-TZVPD basis",
  "symbols": ["C", "C", "C", "C", "C", "S", "S", "S", "S", "I", "H", "H", "H", "H", "H", "H", "H", "H", "H"],
  "xyz": [[0.28374, 1.77999, 0.51810], [0.75732, 0.65198, 0.00994], [2.20611, 0.51668, -0.36535], [-0.09499, -0.56103, -0.26927], [-1.43507, -0.63747, 0.40780], [-0.35174, -0.70438, -2.10344], [0.83489, -2.10556, 0.19554], [-1.36223, -0.29207, 2.15597], [-2.83794, 0.83816, -0.44593], [-2.49177, -2.47594, -0.01841], [-0.74566, 1.93374, 0.78084], [0.94198, 2.61430, 0.68529], [2.67341, 1.49495, -0.39145], [2.31816, 0.05005, -1.34300], [2.73718, -0.10045, 0.35790], [0.83631, -1.24390, -2.35887], [0.87778, -1.85388, 1.50250], [-2.65253, -0.52051, 2.38636], [-2.49495, 0.61531, -1.70453]],
  "e_lumo_ha": -0.0126
}

=====

Entry 4:
{
  "formula": "C5H6O2",
  "method": "the ωB97M-V functional and the def2-TZVPD basis",
  "symbols": ["C", "O", "C", "C", "O", "C", "C", "H", "H", "H", "H", "H", "H"],
  "xyz": [[0.62921, 0.53954, 1.29067], [0.69292, -0.83612, 1.18030], [0.21652, -1.19520, -0.07970], [-1.08243, -0.63113, -0.60699], [-1.45649, 0.54877, 0.09056], [-0.11059, 1.04120, -0.09259], [0.23788, -0.07716, -1.07359], [1.54745, 1.07099, 1.09772], [0.01678, 0.85831, 2.11209], [0.50827, -2.19866, -0.36521], [-1.86477, -1.18596, -1.11666], [-0.08250, 2.09637, -0.40973], [0.74774, -0.03096, -2.02686]],